Following its exit from the Soviet Union, the Republic of Moldova started its independent life with a poorly-regulated medical system that lacked the proper means of ensuring patient safety.
-- These records of molecules were left in the page by mistake --
[1]
Entry from OMol25: 4 unconnected molecules or ions with the total composition C20H35BN2O8 in a non-equilibrium geometry (wB97M-V/def2-TZVPD).

Results
**Highest occupied orbital energy**: -9.45 eV
**SMILES string**: C=CC[C@](C#N)(CC#N)B(O)OC.CCOC(C)=O.CCOC(C)=O.CCOC(C)=O
**Frontier orbital gap**: 9.99 eV

Structure (ORCA input):
```
! RIJCOSX wB97M-V def2-TZVPD def2/J DEFGRID3
* xyz 0 1
C 0.76 1.81 2.95
C 0.26 2.00 1.73
C -0.71 0.93 1.16
C -1.41 1.32 -0.19
C -2.15 2.65 -0.02
N -2.78 3.58 0.03
C -2.55 0.25 -0.45
C -1.99 -1.17 -0.46
N -1.36 -2.07 -0.70
B -0.40 1.45 -1.45
O 0.62 2.38 -1.54
O -0.59 0.59 -2.52
C 0.57 -0.20 -2.86
H 1.29 2.66 3.44
H 0.66 0.81 3.40
H 0.55 2.93 1.21
H -0.18 -0.05 1.11
H -1.50 0.79 1.93
H -3.25 0.35 0.41
H -3.11 0.45 -1.38
H 0.56 3.06 -0.85
H 1.54 0.30 -2.64
H 0.52 -1.17 -2.32
H 0.54 -0.38 -3.95
C 1.71 7.75 4.56
C 0.70 6.80 3.95
O 1.15 5.44 4.04
C 0.96 4.65 5.12
C 0.51 5.28 6.41
O 1.22 3.48 5.05
H 1.85 7.56 5.63
H 1.39 8.78 4.44
H 2.69 7.63 4.09
H -0.29 6.91 4.38
H 0.61 7.01 2.89
H 1.39 5.50 7.02
H -0.12 4.56 6.94
H -0.09 6.18 6.29
C -1.34 -1.83 -8.04
C 0.16 -2.07 -8.11
O 0.79 -1.84 -6.84
C 0.87 -2.76 -5.87
C 0.04 -4.01 -5.96
O 1.55 -2.54 -4.90
H -1.82 -2.52 -7.34
H -1.79 -1.96 -9.02
H -1.54 -0.82 -7.68
H 0.41 -3.06 -8.49
H 0.60 -1.35 -8.80
H -0.89 -3.87 -5.42
H 0.60 -4.83 -5.50
H -0.17 -4.33 -6.98
C -0.44 -5.20 0.68
C -0.56 -4.28 1.87
O -0.84 -5.02 3.07
C 0.11 -5.60 3.83
C 1.51 -5.72 3.30
O -0.20 -6.06 4.90
H 0.39 -5.90 0.79
H -0.28 -4.63 -0.24
H -1.34 -5.80 0.56
H 0.31 -3.64 2.00
H -1.41 -3.62 1.72
H 1.62 -6.70 2.83
H 2.20 -5.64 4.13
H 1.78 -4.95 2.59
*
```

Results of the Mulliken charge analysis, in e, for atoms 1 through 4:
1. C -0.938
2. C -0.048
3. C -0.786
4. C 1.250

***

[2]
Entry from OMol25: a molecular structure, C20H35BeBrCaCl5FN2O18PS in a non-equilibrium geometry (wB97M-V/def2-TZVPD).

Results
**Highest occupied orbital energy**: -9.50 eV
**Frontier orbital gap**: 1.38 eV

Structure (ORCA input):
```
! RIJCOSX wB97M-V def2-TZVPD def2/J DEFGRID3
* xyz 1 1
C 0.84 -0.27 -4.54
C 1.73 -1.07 -4.28
C 3.10 -1.67 -3.77
C 4.30 -0.60 -3.88
C 4.90 0.47 -3.97
N 3.00 -2.38 -2.46
C 2.90 -1.49 -1.29
C 1.44 -0.89 -1.01
O 3.43 -2.73 -4.79
C 2.36 -3.69 -4.89
O 2.26 -4.70 -4.23
H 0.18 0.48 -5.06
H 5.33 1.50 -3.84
H 3.73 -3.10 -2.32
H 3.14 -2.16 -0.36
H 3.64 -0.64 -1.24
H 1.37 0.20 -1.33
H 1.32 -0.88 0.14
H 0.61 -1.53 -1.43
H 1.57 -3.54 -5.71
Be 1.81 -2.95 0.02
C -2.92 0.66 3.86
O -2.00 0.01 2.99
P -1.97 -1.69 2.88
O -1.20 -1.67 1.58
O -3.59 -1.69 2.59
C -4.09 -1.10 1.40
O -1.95 -3.39 2.96
C -3.05 -4.18 2.51
H -2.39 1.41 4.45
H -3.67 1.17 3.26
H -3.41 -0.04 4.54
H -3.33 -0.56 0.84
H -4.88 -0.39 1.67
H -4.53 -1.88 0.77
H -3.25 -3.97 1.46
H -3.93 -4.00 3.12
H -2.77 -5.23 2.61
F 5.90 -2.24 -2.56
C 0.25 0.78 7.23
N -1.16 0.38 7.46
O -1.94 0.51 6.53
O -1.44 -0.04 8.56
H 0.36 1.14 6.21
H 0.49 1.57 7.95
H 0.88 -0.10 7.40
O 3.99 2.33 -5.90
Cl 2.90 2.32 -6.86
O 3.36 1.72 -8.10
O 2.47 3.67 -7.11
O 1.80 1.54 -6.32
Ca 4.98 -3.23 -3.79
-- So much for the records of molecules --
However, in the last few years Moldova has increasingly adjusted its legislation to Europe’s, securing the rights of patients and improving the quality of drugs administered in the country.
The most recent achievement on this front is the transposition of the European Pharmacopeia into Moldovan law, which represents a significant accomplishment in terms of protecting society against such phenomena as adverse reactions to medical products and inferior drugs.
Evolution of the Pharmacovigilance System
Even before the pharmacovigilance system was established, several legal provisions ensuring the safety of drugs placed on the Moldovan market were included in the country’s domestic legal framework.
The first attempts of the Moldovan legislator to impose certain drug safety standards were made by means of the Law on Drugs in 1997, which established the requirement that medicines be of good quality, proper for their purpose, and without undue adverse reactions. In 2003, though not yet a member to the Convention on the Elaboration of a European Pharmacopeia, Moldova nevertheless introduced the concept of the European Pharmacopeia into its legal framework by supplementing The Law on Pharmaceutical Activity of 1993 with a general requirement that drugs must comply with the standards established by the European Pharmacopeia. Also, between 2006 and 2015 the Ministry of Health of Moldova enacted additional secondary legislation, establishing a number of measures to be followed by medical staff and drug manufacturers in respect to drug safety, drug registration, and the reporting of recorded adverse reactions. The above-mentioned acts constituted stepping-stones towards today’s Moldovan pharmacovigilance system.
== These records of molecules were left in the piece by mistake ==
# C23H19N3O4

C23H19N3O4 in the gas phase in a non-equilibrium geometry (the ωB97M-V functional and the def2-TZVPD basis, the Open Molecules 2025 dataset).

Output
E_HOMO, eV: -7.864
ΔE to the lowest compared entry with this formula, charge and spin, kJ/mol: 788.4
SMILES: Cn1cc([C@H](c2ccccc2)[C@H](c2ccc([N+](=O)[O-])cc2)[N+](=O)[O-])c2ccccc21
Kohn-Sham gap, eV: 6.799

The geometry in ORCA input format:
```
! wB97M-V def2-TZVPD RIJCOSX def2/J DEFGRID3
* xyz 0 1
C 5.22413 -0.48640 0.79771
N 3.81326 -0.78737 0.71845
C 2.81220 0.18474 0.62666
C 1.56621 -0.44004 0.66440
C 0.28406 0.36790 0.72120
C -0.97656 -0.45790 0.58691
C -1.04854 -1.52271 -0.32677
C -2.09977 -2.43392 -0.19050
C -3.07990 -2.24851 0.79276
C -3.08625 -1.07300 1.55813
C -2.06611 -0.12290 1.40178
C 1.82049 -1.88456 0.87791
C 1.11889 -2.97513 1.33561
C 1.75008 -4.18957 1.67546
C 3.16360 -4.30341 1.62169
C 3.93375 -3.20951 1.16458
C 3.24389 -2.04717 0.82663
H 5.79093 -1.42627 0.71365
H 5.52040 0.18816 -0.02513
H 5.45569 0.00171 1.76520
H 3.01440 1.24417 0.49788
H 0.37161 1.02541 1.63852
H -0.25960 -1.62480 -1.07212
H -2.15468 -3.24733 -0.89454
H -3.88548 -2.99337 0.91269
H -3.92790 -0.82517 2.20464
H -2.07384 0.85104 1.92927
H 0.05086 -2.90340 1.44092
H 1.17597 -5.05704 2.01819
H 3.66594 -5.22818 1.94641
H 5.01793 -3.23326 1.16521
C -0.13144 1.72807 -0.02947
N 1.17917 1.97124 -0.80708
O 1.97437 2.82134 -0.33744
O 1.39854 1.12566 -1.70210
C -1.32496 2.19144 -0.91331
C -1.31001 2.18060 -2.34150
C -2.29119 2.88656 -3.06457
C -3.44492 3.38172 -2.44210
N -4.44296 4.17173 -3.14984
O -5.39129 4.65326 -2.48721
O -4.33891 4.38054 -4.37862
C -3.50059 3.32761 -1.05593
C -2.51550 2.67783 -0.30646
H -0.15623 2.52544 0.74523
H -0.62159 1.49312 -2.86461
H -2.15024 3.06792 -4.11771
H -4.32618 3.81796 -0.58202
H -2.74170 2.45575 0.74136
*
```

=====

# CHFI2S

A molecular structure, CHFI2S in a non-equilibrium geometry (the ωB97M-V functional and the def2-TZVPD basis, the Open Molecules 2025 dataset).

Output
E_HOMO (spin up / spin down), eV: -9.708 / -9.873
ΔE to the lowest compared entry with this formula, charge and spin, kJ/mol: 198.8
Kohn-Sham gap (spin up / spin down), eV: 6.789 / 6.679

The geometry in ORCA input format:
```
! wB97M-V def2-TZVPD RIJCOSX def2/J DEFGRID3
* xyz 0 1
C -0.74173 -0.22404 -0.11475
F -0.46614 -0.35161 -1.44069
S 0.55106 0.68096 0.69076
I -2.66606 0.77541 0.13568
I 4.24544 0.21966 0.14883
H -0.92258 -1.10039 0.58018
*
```

=====

# C2H7FN2

C2H7FN2 in the gas phase in a non-equilibrium geometry (the ωB97M-V functional and the def2-TZVPD basis, the Open Molecules 2025 dataset).

Output
E_HOMO, eV: -9.524
ΔE to the lowest compared entry with this formula, charge and spin, kJ/mol: 133.6
SMILES: CC(N)(N)F
Kohn-Sham gap, eV: 10.532

The geometry in ORCA input format:
```
! wB97M-V def2-TZVPD RIJCOSX def2/J DEFGRID3
* xyz 0 1
C 0.65625 -0.73529 0.99445
C -0.21291 -0.10189 -0.15218
N -0.04592 -0.57313 -1.46535
N -0.27859 1.48861 0.21894
F -1.51854 -0.51645 0.12398
Pharmacovigilance Today
Moldova’s current pharmacovigilance system is a well-developed mechanism, with several methods for ensuring that the drugs offered to Moldovan patients comply with European safety requirements. By adhering to the Convention on the Elaboration of a European Pharmacopeia in 2016, Moldova has undertaken to observe and comply with the standards and requirements established by the European Pharmacopeia and impose them on any drug manufactured in or imported into Moldova. In 2017 and 2019, the Ministry of Health set the timeline for transposing the ninth and tenth editions of the European Pharmacopeia into Moldovan law. Edition No. 10 is to become fully enforceable in Moldova by 2022.
The current pharmacovigilance system includes a centralized mechanism instituted within the Medicines and Medical Devices Agency that provides for the collection of reports on adverse reactions and also imposes certain measures to ensure that drugs that may cause unforeseen adverse reactions are excluded from the market.
**Calculated molecules from another source follow:**
~~~
Record 1
Density functional theory data (ωB97M-V/def2-TZVPD) for a structure of composition C37H35CdClN2S2Si2 at a distorted geometry.

Properties
DFT total energy = -3543.70466 Eh
HOMO = -5.88 eV
Frontier orbital gap = 5.765 eV
Charge = 0
Energy relative to the best compared isomer or geometry (same formula, charge and spin) = 1.215 eV

Last column: Mulliken charge in e.
Geometry (Å):
C -1.3287 -3.8532 -4.5206  -0.588
C 2.1615 -2.3857 -7.3709  -0.329
H 1.5624 -2.6214 -3.1832  0.368
N 1.1646 1.8627 0.7952  -0.083
C 0.5180 -2.4113 -9.6438  -0.685
H -1.0810 0.4517 2.2933  0.468
H 3.0342 -3.1307 -0.4128  0.317
H -2.1685 5.0049 -4.8019  0.424
C 0.0121 1.8749 -7.7881  -0.097
C 1.9265 1.5532 1.9360  -0.161
C 0.8202 -3.6060 -8.9826  -0.476
S 0.6031 3.6676 2.5576  -0.188
C -1.4765 1.9354 -3.4727  0.138
H -1.4364 3.8788 0.6046  0.410
C 2.1882 -2.9869 0.2686  -0.589
H -1.0990 2.5395 -0.5222  -0.449
C -0.7563 2.8685 -8.4088  -0.577
C -0.3457 3.8906 -5.1232  -0.560
C 1.6482 -3.5916 -7.8550  -0.447
C -0.1752 3.7297 -9.3487  -0.522
C 1.3869 1.7828 -8.0552  0.303
H -1.8811 -4.7936 -4.6161  0.396
C 0.0224 -1.4071 -4.1311  1.672
H 3.0313 2.5815 -9.2060  0.329
C -1.6193 4.0879 -4.5794  -0.696
Cl 3.1961 0.4762 -5.5514  -0.297
C 0.5923 -2.6270 -3.6910  -0.782
H -2.4976 -0.8112 -1.6551  0.580
H 1.6485 4.2586 -10.4015  0.395
H 1.2901 -2.8035 -0.3291  -0.190
H -0.1286 -2.0224 1.8156  0.574
C 2.4876 -1.8655 1.1842  0.251
H 0.8241 -0.2791 -9.7103  0.328
C -0.0844 -3.8345 -3.8745  -0.655
C 1.0369 -1.2060 -9.1677  -0.296
H -2.6453 1.1544 0.2172  0.564
C -0.1689 1.7408 -3.9811  0.913
C 1.7669 2.4613 2.9722  -0.464
C 2.5061 0.2466 1.9942  -0.024
C 1.8416 -1.1800 -8.0135  0.593
C 3.0058 -0.4191 3.1068  -0.455
H 3.2295 0.0564 4.0588  0.381
H 0.4274 -4.5479 -9.3668  0.381
H 1.9114 -4.5272 -7.3605  0.376
C -1.2153 -0.1190 1.3739  -0.590
H 2.0259 -3.8805 0.8821  0.396
C 1.9659 2.6704 -8.9800  -0.479
C -0.6927 -1.4097 1.1103  -0.944
H 1.3870 2.5998 -5.2295  0.466
C -1.1506 -1.8216 -0.1746  -0.783
C -1.8589 -2.6636 -5.0289  -0.697
Si 2.5636 0.4479 -7.5178  0.599
H -0.7840 4.4866 -9.8505  0.370
H 3.8622 0.6416 -8.2266  -0.342
C 0.3862 2.7456 -4.8064  -0.686
H -0.9641 -2.7868 -0.6514  0.636
H -1.8167 2.9708 -8.1596  0.420
H 2.2299 0.1659 -3.0961  -0.381
H 2.8248 -2.3839 -6.5031  0.254
H -0.1927 4.0576 -0.6890  0.307
C 0.3673 2.9001 0.9934  0.471
H -2.8239 -2.6766 -5.5361  0.406
H 0.0789 4.6280 -5.8107  0.430
H -3.1661 3.2590 -3.3127  0.422
C -2.1762 3.1086 -3.7512  -0.549
S 3.1134 -2.1170 2.8091  -0.168
H -0.4680 1.1827 -7.0895  0.465
H -0.1027 -2.4128 -10.5421  0.381
C -1.1783 -1.4495 -4.8709  -0.440
Cd 1.0135 0.2523 -0.8511  0.873
H 0.3462 -4.7662 -3.4949  0.418
H -1.9518 1.1556 -2.8655  0.056
N 2.2838 -0.5927 0.8892  0.028
C -0.6524 3.3699 0.0309  -0.416
H 2.2551 2.3805 3.9407  0.392
C 1.1878 3.6174 -9.6471  -0.610
C -2.0272 0.2581 0.2706  -0.748
Si 0.7708 0.1883 -3.5711  -0.268
C -1.9642 -0.7791 -0.7019  -0.492
H -1.5968 -0.5310 -5.2898  0.247



Record 2
~~~
Thus, under the Regulation on Execution of Pharmacovigilance Activities, the holders of drug registration certificates are required to develop a pharmacovigilance plan ensuring the quality control of the medicinal products placed on the market. Such entities are required to report any adverse reactions to their products to the VigiBase database. Furthermore, these entities are required to perform continuous scientific research of their products, undertake necessary actions to minimize any risks posed by the drugs they place on the market, and adopt appropriate preventive measures.
Besides the holders of drug registration certificates, medical staff that has been informed of adverse reactions to particular medicinal products and patients that have experienced them are also required to report to the Agency.
Pharmacovigilance Effectiveness
Though it is a new mechanism and the practice of reporting adverse reactions is still under development, the pharmacovigilance system has already registered significant results, having attained its core objective – ensuring that drugs posing a risk to human health are prohibited and/or removed from the Moldovan market. The number of adverse reactions reported has risen from 277 in 2016 to 940 in 2018. Most of the reports (91.38% in 2018) were submitted by medical staff informed of adverse reactions to drugs administered to patients.
Although still in development, the Moldovan pharmacovigilance system appears to be a mechanism well-shaped and adjusted to European standards, representing an intrinsic tool for ensuring public health.
By Marina Zanoga, Head of Regulatory, and Doina Doga, Associate, ACI Partners
This Article was originally published in Issue 7.3 of the CEE Legal Matters Magazine. If you would like to receive a hard copy of the magazine, you can subscribe here.